Name: Shugo
eats_typosE-Mail: moirails[at]gmail[dot]com
IM: inyourdna
Character Name: Gamzee Makara
Series: Homestuck
Timeline: Dancing beside the hornpile.
Canon Resource Link:
Homestuck itself wiki Character Background: Gamzee is the sweetest babby ever, not quite as sweet as Tavros but he is one of the people most anyone could hang with! Heck, he doesn’t even embrace troll society’s hemospectrum standards despite his indigo blood offering him the highest nobility of land dwelling society. Or perhaps that could be because he is stoned (or out of it) all the time. This is something that quite upsets Equius because he believes Gamzee’s conduct is quite unfit for someone of Gamzee’s caste but has no right to boss Gamzee around because of his own status.
Though Gamzee’s neglect for caring about the caste system is due to his high-on-life personality, it is also due to the fact that he is ruining his brain by consuming spoor slime pies. Which is something young trolls should not eat, lest strange things happen to their head (it did for Gamzee). Usually this is one of the basic troll knowledge that their caregivers, the lusus, teach the wee trolls. However, Gamzee’s sea-goat lusus was never around (always out at sea) to teach Gamzee these things so Gamzee was never brought up very well. This upbringing may also contribute to Gamzee’s lack of care regarding the social caste system as someone of his blood is supposed to be very violent in behavior.
Since the trolls started Sgrub, Gamzee hadn’t had much to do or say. He spend most of the time in the veil dancing or hording horns in the computer lab room, trying to make a couple of boondollars by letting people sleep in the said horn pile. It’s all harmless fun until he runs out of spoor slime pies, allowing him to sober up- he realize his true calling as the Grand Highblood. He comes to a couple of conclusions; 1) the spoor slime pies were destroying his brain (so very true), 2) his ancestor was the High Subjugglator (true), 3) he is the messiahs of the religion he induldges in (somewhat true)and 4) he has to kill everyone (terriftying but probably true due to the violent nature of highblooded trolls)- after killing them, he will use their blood to paint pictures.
This situation is all too terrifying and troubling for the trolls who are currently dealing with Eridan’s rampage and hiding from Jack Noir’s conquest. Karkat even remarked that, Gamzee may be more of a threat because of how much damage he did to the Black King compared to the other trolls. Which is somewhat true as Gamzee makes his way through and starts slaughtering the “peasantblood” (Equius shot with an arrow and then strangled to death with a broken bow, and Nepeta who is speculated to have been bludgeoned to death with a juggling club). However, his antiques stopped there as he made his way towards Vriska and Eridan for a final showdown because he was kicked in the nuts and sent flying off a cliff with a graceful “HOOOOOOOOOOOONNNNNNKKKKKK”. But he lived, because he then tricked Terezi into believing Vriska had killed Nepeta AND harmed himself. (“Not sweet Gamzee!”)
This lead Terezi into the music room, and Gamzee proceeds to fuck with her using Cal. Later, when Terezi confronts Vriska- he seemed to somehow have time to collect the heads of Feferi, Eridan, Equius, Nepeta and Tavros to have a mock jury table.
Gamzee was last seen approaching Karkat, Terezi, Sollux and Kanaya with the Warhammer of Zillyhoo (all behold the glory of Zillyhoo). Karkat then had to “deal” with Gamzee, but it is unknown what exactly became of Gamzee. All that is known is that Karkat is visibly and audibly distraught with whatever he had to do as Gamzee’s moirail.
But enough details of Gamzee in the game. Gamzee’s personality is like the troll equivalent of a juggalo (he gets pretty excited by CLOWNS OF A GRIM PERSUASION WHICH MAY NOT BE IN FULL POSSESION OF THEIR MENTAL FACULTIES). He belongs to a rather obscure cult of rowdy and capricious minstrels which are said to rise one day on a mythical paradise planet that doesn’t exist yet and there are a lot of juggalo text references with Gamzee. So much in fact, that his strife specibus is clubkind and his weapon(s) are juggling clubs. And though he swears quite often and frequent (usually motherfuck), Gamzee is good natured and laid back. He enjoys the wicked drink known as faygo, does a little baking in his spare time sometimes. Including in those activities is the belief in the many miracles of life.
He is, without question, a supportive friend and acts as a therapist to friends (especially Karkat and Eridan) if they are experiencing emotional stress. Though his counseling may not be much (“wait for a miracle”), he will stop whatever it is he is doing to help a motherfucker out.
And in that good nature attitude of his, his actions are very silly and almost impulsive at times. He is a bit whimsical (as is the way he types) and can be eccentric or unpredictable at times. (See the conversation in what is presumably the a memory bubble with Tavros when he suggested Tavros come over for sloppy makeouts after a rap off.) But all in all, Gamzee means well.
Misplaced crystal structures >
-- begin --
Entry 1:
Calculated powder X-ray diffraction pattern of LiBe6As4 for Cu Ka, from a structure optimized by DFT (GGA-PBE).

Atomic structure:
```
data_LiBe6As4
_chemical_formula_sum 'Li4 Be24 As16'
_cell_length_a 4.7741
_cell_length_b 5.6198
_cell_length_c 24.5886
_cell_angle_alpha 90.00
_cell_angle_beta 90.00
_cell_angle_gamma 90.00
_symmetry_space_group_name_H-M 'F m m m'
_symmetry_Int_Tables_number 69
_symmetry_space_group_name_Hall '-F 2 2'
loop_
_atom_site_label
_atom_site_type_symbol
_atom_site_fract_x
_atom_site_fract_y
_atom_site_fract_z
_atom_site_occupancy
Li1 Li 0.0000 0.0000 0.0000 1
Be1 Be 0.2500 0.2500 0.1250 1
Be2 Be 0.2500 0.2500 0.2500 1
As1 As 0.0000 0.0000 0.1912 1
As2 As 0.0000 0.0000 0.4271 1
```

The 8 most intense peaks (2θ from 10° to 80°), most intense first:
d_spacing  I/Imax  (hkl)
2.925  100  1 1 5
3.326  57  1 1 3
2.074  28  0 2 8
2.810  26  0 2 0
3.074  25  0 0 8
1.678  25  1 1 13
1.819  23  2 2 0
1.885  21  2 0 8

Entry 2:
Calculated powder X-ray diffraction pattern of Li2BeMoAs for Cu Ka, from a structure optimized by DFT (GGA-PBE).

Atomic structure:
```
data_Li2BeMoAs
_chemical_formula_sum 'Li2 Be1 Mo1 As1'
_cell_length_a 4.3226
_cell_length_b 4.3226
_cell_length_c 4.7835
_cell_angle_alpha 90.00
_cell_angle_beta 90.00
_cell_angle_gamma 90.00
_symmetry_space_group_name_H-M 'P 4/m m m'
_symmetry_Int_Tables_number 123
_symmetry_space_group_name_Hall '-P 4 2'
loop_
_atom_site_label
_atom_site_type_symbol
_atom_site_fract_x
_atom_site_fract_y
_atom_site_fract_z
_atom_site_occupancy
Li1 Li 0.0000 0.5000 0.0000 1
Be1 Be 0.0000 0.0000 0.5000 1
Mo1 Mo 0.5000 0.5000 0.5000 1
As1 As 0.5000 0.5000 0.0000 1
```

The 8 most intense peaks (2θ from 10° to 80°), most intense first:
d_spacing  I/Imax  (hkl)
4.323  100  1 0 0
3.057  43  1 1 0
2.093  28  1 0 2
1.933  22  2 1 0
1.884  21  1 1 2
2.161  20  2 0 0
1.503  19  2 1 2
1.604  15  2 0 2

Entry 3:
Calculated powder X-ray diffraction pattern of Na2LiBe3As4 for Cu Ka, from a structure optimized by DFT (GGA-PBE).

Atomic structure:
```
data_Na2LiBe3As4
_chemical_formula_sum 'Na2 Li1 Be3 As4'
_cell_length_a 4.1315
_cell_length_b 4.1315
_cell_length_c 9.7599
_cell_angle_alpha 90.00
_cell_angle_beta 90.00
_cell_angle_gamma 90.00
_symmetry_space_group_name_H-M 'P -4 m 2'
_symmetry_Int_Tables_number 115
_symmetry_space_group_name_Hall 'P -4 -2'
loop_
_atom_site_label
_atom_site_type_symbol
_atom_site_fract_x
_atom_site_fract_y
_atom_site_fract_z
_atom_site_occupancy
Na1 Na 0.0000 0.5000 0.2392 1
Li1 Li 0.5000 0.5000 0.0000 1
Be1 Be 0.0000 0.0000 0.0000 1
Be2 Be 0.0000 0.5000 0.6329 1
As1 As 0.0000 0.0000 0.5000 1
As2 As 0.0000 0.5000 0.8616 1
As3 As 0.5000 0.5000 0.5000 1
```

The 8 most intense peaks (2θ from 10° to 80°), most intense first:
d_spacing  I/Imax  (hkl)
2.799  100  1 1 1
2.507  76  1 1 2
2.066  53  2 0 0
3.253  50  0 0 3
3.153  43  1 0 2
1.873  41  1 1 4
1.744  33  2 0 3
3.805  25  1 0 1

Entry 4:
-- stop --
And as mentioned in his shenanigans in Homestuck, he does have a dark side to him that awakens when he becomes sober. This dark side is the flip coin opposite of good-natured Gamzee because he is DOWNRIGHT TERRIFYING. FoR oNe, He StOpS tYpInG lIkE tHiS, making it clear that there are two personalities meshed into one as he alternates from caps and lowercase in his text. SOMETHING LIKE THIS. And then back to this. TO SHOW YOU HOW HIS VOLUME IMPLYS THAT HIS VOICE FLUXUATES BETWEEN THE TEXT. When he is typing in lowercase, it has been seen to be the calmer side of the dark Gamzee, whereas all caps implied him yelling. Still, both side are as equally violent and embrace their grand noble blood status. His clubkinds strife specibus also turns into jokerkind when he is sober, allowing him to freely wield any weapon as a wildcard. These two personalities, one frowning, the other smiling - take on the Comedy and Tragedy masks.
Abilites/Special Powers: Gamzee has a clubkind strife specibus, using juggling clubs as weapons. His fetch modus is miracle based and he has no idea how it works. (Nor does he intend to find out) but it involves many colors. Something Gamzee loves to fondly regard and stare at.
Third-Person Sample: The hushed lull of the ocean quiets the nightly air with a calm, steady beat of waves crashing and rolling up the shore. It’s almost too dark to see the ocean’s continuous musical talent going but there’s small stretches of light streaming from the tall house not far from the shore. The light however little it may shine doesn’t matter though because the stars are the only lights that he needs to guild his vision across the span ocean. The house lights wouldn’t reach the length he would have to look.
To the innocent onlooker, one glimpse at the young trolls gaze would make one wonder if he was truly looking at the starry sky. The look on his face would otherwise suggest that he was not completely there or fully comprehensive of just what exactly he was looking up at. He looked quite stoned after all, but it was something rather common about Gamzee. The indigo blooded troll was actually not stargazing, nor was he not off in the distance lands of imagination and miracles. But he was waiting. Waiting for a miracle to arrive from the skies.
Such is the ritual he did every once in a while when at last his anticipation for said miracle could wait no more. With movement so sudden, he clapped his hands together and closed his eyes, praying to the mirthful messiahs for this one miracle.
And then at last, it came. But not before the young troll's pants become sodden with sand and damp from the shallow water, not that he minded or paid any heed to such details. Gamzee moved from where he had been sitting, for hours, maybe days, maybe even whole weeks (not in a continuous setting, oh no- he didn't quite have the attention span for that. Not that he was stupid or anything but-), standing up with one arm extended, reaching up to the white sea-goat that had just reached the shore and giving him a gentle pap on the nose. His lusus had just returned home from who knows where.
"It's like, a motherfucking miracle just went and delivered itself," Gamzee spoke as he embraced the face of his care taker.
First-Person Sample: HeY aLl YoU mOtHeRfUcKiNg BrOsEpHs AnD SiStErPhInEs.
We HaVe To GeT oUr CrAzY pArTy SeLvEs On AnD pArTy LiKe OuR fUcKiNg FeEtS gOiNg To FaLl ThE fUcK oFf FrOm ThE lAcK oF sTrIcT bEaTs.
HoNk HoNk. :o)
So AlL yOu FiNe MoThErFuCkErS gEt YoUr HoNk On At ThE bEaCh!
We'Ve GoT tHe MuNcHiEs In A wEaVeD bOx, We'Ve GoT hIvE bUilDiNg GoInG oN.
eVeN tHe ShInAzZy BiRdS aRe GeTtInG tHeIr PaRtY oN bY dRoPpInG iN tO sAy "HelLo MoThErFuCkErS!"
aWwWwW yEs, We GoT eVeRyThInG.
eVeN sNoOp DoGg ThE mErChAnT hAs DrOpPeD bY fOr ThIs SiCk DaY uNdEr ThE mOsT mIrAcUlOuS oF AlL SuNs.
If YoU'rE wOnDeRiNg WhErE tHe ReFrEsHmEnTs WiLl Be, I wIlL bE pRoViDiNg ThE wIcKeD sHiT.
So JuSt BrInG tHe MoThErFuCkEr InSiDe Of YoU aNd cOmE gEt GrOoViN WiTh It!